Next, transcribe the entries below verbatim.

/*
No. 1
First-principles (GGA-PBE) data for crystalline CeTmSc at its relaxed geometry, as listed in the Alexandria database.

Computed properties:
Energy of formation = 95 meV/atom
Uncorrected energy = -65.812 eV for the cell shown
M_tot = 0.63 μB/f.u.
Energy relative to the lowest polymorph listed for this composition = 0.029 eV/atom

abc: 5.4769 6.6503 9.2460
angles: 90.00 90.00 90.00
Fractional positions:
Ce: 0.0000 0.0000 0.1468
Ce: 0.0000 0.0000 0.8532
Ce: 0.5000 0.5000 0.3532
Ce: 0.5000 0.5000 0.6468
Tm: 0.0000 0.2460 0.5000
Tm: 0.0000 0.7540 0.5000
Tm: 0.5000 0.2540 0.0000
Tm: 0.5000 0.7460 0.0000
Sc: 0.0000 0.5000 0.1629
Sc: 0.0000 0.5000 0.8371
Sc: 0.5000 0.0000 0.3371
Sc: 0.5000 0.0000 0.6629



No. 2
First-principles (GGA-PBE) data for crystalline CeTm8Sc2 at its relaxed geometry, as listed in the Alexandria database.

Computed properties:
Energy of formation = 161 meV/atom
Uncorrected energy = -52.596 eV for the cell shown
M_tot = 0.73 μB/f.u.

abc: 9.9123 9.9123 5.3689
angles: 92.42 92.42 39.68
Fractional positions:
Ce: 0.0000 0.0000 0.0000
Tm: 0.1290 0.5982 0.2656
Tm: 0.1917 0.1917 0.2365
Tm: 0.4018 0.8710 0.7344
Tm: 0.4515 0.4515 0.7614
Tm: 0.5485 0.5485 0.2386
Tm: 0.5982 0.1290 0.2656
Tm: 0.8083 0.8083 0.7635
Tm: 0.8710 0.4018 0.7344
Sc: 0.2852 0.2852 0.7527
Sc: 0.7148 0.7148 0.2473



No. 3
First-principles (GGA-PBE) data for crystalline CeTmSc at its relaxed geometry, as listed in the Alexandria database.

Computed properties:
Energy of formation = 225 meV/atom
Uncorrected energy = -64.250 eV for the cell shown
M_tot = 0.64 μB/f.u.
Energy relative to the lowest polymorph listed for this composition = 0.159 eV/atom

abc: 6.3121 6.5748 8.1792
angles: 90.00 90.00 90.00
Fractional positions:
Ce: 0.2500 0.1674 0.0000
Ce: 0.2500 0.8326 0.5000
Ce: 0.7500 0.3326 0.0000
Ce: 0.7500 0.6674 0.5000
Tm: 0.1012 0.5000 0.7500
Tm: 0.3988 0.5000 0.2500
Tm: 0.6012 0.0000 0.2500
Tm: 0.8988 0.0000 0.7500
Sc: 0.0000 0.2500 0.3949
Sc: 0.0000 0.7500 0.1051
Sc: 0.5000 0.2500 0.6051
Sc: 0.5000 0.7500 0.8949



No. 4
First-principles (GGA-PBE) data for crystalline CeTmSc at its relaxed geometry, as listed in the Alexandria database.

Computed properties:
Energy of formation = 66 meV/atom
Uncorrected energy = -16.539 eV for the cell shown
M_tot = 0.41 μB/f.u.
Energy relative to the lowest polymorph listed for this composition = 0.000 eV/atom

abc: 3.3981 3.3981 8.2539
angles: 90.00 90.00 120.00
Fractional positions:
Ce: 0.0000 0.0000 0.0000
Tm: 0.6667 0.3333 0.3450
Sc: 0.3333 0.6667 0.6769



No. 5
First-principles (GGA-PBE) data for crystalline CeTm14Sc at its relaxed geometry, as listed in the Alexandria database.

Computed properties:
Energy of formation = 25 meV/atom
Uncorrected energy = -74.471 eV for the cell shown
M_tot = 0.48 μB/f.u.

abc: 11.2342 6.9905 6.9905
angles: 59.97 90.00 90.00
Fractional positions:
Ce: 0.0000 0.0000 0.0000
Tm: 0.0000 0.0005 0.5031
Tm: 0.0000 0.5031 0.0005
Tm: 0.2485 0.3333 0.8339
Tm: 0.2476 0.3356 0.3356
Tm: 0.2485 0.8339 0.3333
Tm: 0.2525 0.8355 0.8355
Tm: 0.5000 0.1680 0.1680
Tm: 0.5000 0.1693 0.6661
Tm: 0.5000 0.6661 0.1693
Tm: 0.5000 0.6671 0.6671
Tm: 0.7475 0.8355 0.8355
Tm: 0.7515 0.3333 0.8339
Tm: 0.7524 0.3356 0.3356
Tm: 0.7515 0.8339 0.3333
Sc: 0.0000 0.5017 0.5017



No. 6
First-principles (GGA-PBE) data for crystalline CeTm2Sc4 at its relaxed geometry, as listed in the Alexandria database.

Computed properties:
Energy of formation = 46 meV/atom
Uncorrected energy = -79.762 eV for the cell shown
M_tot = 0.26 μB/f.u.
Energy relative to the lowest polymorph listed for this composition = 0.000 eV/atom

abc: 5.8582 3.3831 18.9643
angles: 90.00 95.92 90.00
Fractional positions:
Ce: 0.0000 0.0000 0.0000
Ce: 0.5000 0.5000 0.0000
Tm: 0.3089 0.5000 0.4242
Tm: 0.4050 0.5000 0.7108
Tm: 0.8089 0.0000 0.4242
Tm: 0.9050 0.0000 0.7108
Sc: 0.0936 0.0000 0.2803
Sc: 0.1192 0.5000 0.8552
Sc: 0.1903 0.0000 0.5668
Sc: 0.2152 0.5000 0.1463
Sc: 0.5936 0.5000 0.2803
Sc: 0.6192 0.0000 0.8552
Sc: 0.6903 0.5000 0.5668
*/

No. 1
First-principles (GGA-PBE) data for crystalline CeTmSc at its relaxed geometry, as listed in the Alexandria database.

Computed properties:
Energy of formation = 95 meV/atom
Uncorrected energy = -65.812 eV for the cell shown
M_tot = 0.63 μB/f.u.
Energy relative to the lowest polymorph listed for this composition = 0.029 eV/atom

abc: 5.4769 6.6503 9.2460
angles: 90.00 90.00 90.00
Fractional positions:
Ce: 0.0000 0.0000 0.1468
Ce: 0.0000 0.0000 0.8532
Ce: 0.5000 0.5000 0.3532
Ce: 0.5000 0.5000 0.6468
Tm: 0.0000 0.2460 0.5000
Tm: 0.0000 0.7540 0.5000
Tm: 0.5000 0.2540 0.0000
Tm: 0.5000 0.7460 0.0000
Sc: 0.0000 0.5000 0.1629
Sc: 0.0000 0.5000 0.8371
Sc: 0.5000 0.0000 0.3371
Sc: 0.5000 0.0000 0.6629



No. 2
First-principles (GGA-PBE) data for crystalline CeTm8Sc2 at its relaxed geometry, as listed in the Alexandria database.

Computed properties:
Energy of formation = 161 meV/atom
Uncorrected energy = -52.596 eV for the cell shown
M_tot = 0.73 μB/f.u.

abc: 9.9123 9.9123 5.3689
angles: 92.42 92.42 39.68
Fractional positions:
Ce: 0.0000 0.0000 0.0000
Tm: 0.1290 0.5982 0.2656
Tm: 0.1917 0.1917 0.2365
Tm: 0.4018 0.8710 0.7344
Tm: 0.4515 0.4515 0.7614
Tm: 0.5485 0.5485 0.2386
Tm: 0.5982 0.1290 0.2656
Tm: 0.8083 0.8083 0.7635
Tm: 0.8710 0.4018 0.7344
Sc: 0.2852 0.2852 0.7527
Sc: 0.7148 0.7148 0.2473



No. 3
First-principles (GGA-PBE) data for crystalline CeTmSc at its relaxed geometry, as listed in the Alexandria database.

Computed properties:
Energy of formation = 225 meV/atom
Uncorrected energy = -64.250 eV for the cell shown
M_tot = 0.64 μB/f.u.
Energy relative to the lowest polymorph listed for this composition = 0.159 eV/atom

abc: 6.3121 6.5748 8.1792
angles: 90.00 90.00 90.00
Fractional positions:
Ce: 0.2500 0.1674 0.0000
Ce: 0.2500 0.8326 0.5000
Ce: 0.7500 0.3326 0.0000
Ce: 0.7500 0.6674 0.5000
Tm: 0.1012 0.5000 0.7500
Tm: 0.3988 0.5000 0.2500
Tm: 0.6012 0.0000 0.2500
Tm: 0.8988 0.0000 0.7500
Sc: 0.0000 0.2500 0.3949
Sc: 0.0000 0.7500 0.1051
Sc: 0.5000 0.2500 0.6051
Sc: 0.5000 0.7500 0.8949



No. 4
First-principles (GGA-PBE) data for crystalline CeTmSc at its relaxed geometry, as listed in the Alexandria database.

Computed properties:
Energy of formation = 66 meV/atom
Uncorrected energy = -16.539 eV for the cell shown
M_tot = 0.41 μB/f.u.
Energy relative to the lowest polymorph listed for this composition = 0.000 eV/atom

abc: 3.3981 3.3981 8.2539
angles: 90.00 90.00 120.00
Fractional positions:
Ce: 0.0000 0.0000 0.0000
Tm: 0.6667 0.3333 0.3450
Sc: 0.3333 0.6667 0.6769



No. 5
First-principles (GGA-PBE) data for crystalline CeTm14Sc at its relaxed geometry, as listed in the Alexandria database.

Computed properties:
Energy of formation = 25 meV/atom
Uncorrected energy = -74.471 eV for the cell shown
M_tot = 0.48 μB/f.u.

abc: 11.2342 6.9905 6.9905
angles: 59.97 90.00 90.00
Fractional positions:
Ce: 0.0000 0.0000 0.0000
Tm: 0.0000 0.0005 0.5031
Tm: 0.0000 0.5031 0.0005
Tm: 0.2485 0.3333 0.8339
Tm: 0.2476 0.3356 0.3356
Tm: 0.2485 0.8339 0.3333
Tm: 0.2525 0.8355 0.8355
Tm: 0.5000 0.1680 0.1680
Tm: 0.5000 0.1693 0.6661
Tm: 0.5000 0.6661 0.1693
Tm: 0.5000 0.6671 0.6671
Tm: 0.7475 0.8355 0.8355
Tm: 0.7515 0.3333 0.8339
Tm: 0.7524 0.3356 0.3356
Tm: 0.7515 0.8339 0.3333
Sc: 0.0000 0.5017 0.5017



No. 6
First-principles (GGA-PBE) data for crystalline CeTm2Sc4 at its relaxed geometry, as listed in the Alexandria database.

Computed properties:
Energy of formation = 46 meV/atom
Uncorrected energy = -79.762 eV for the cell shown
M_tot = 0.26 μB/f.u.
Energy relative to the lowest polymorph listed for this composition = 0.000 eV/atom

abc: 5.8582 3.3831 18.9643
angles: 90.00 95.92 90.00
Fractional positions:
Ce: 0.0000 0.0000 0.0000
Ce: 0.5000 0.5000 0.0000
Tm: 0.3089 0.5000 0.4242
Tm: 0.4050 0.5000 0.7108
Tm: 0.8089 0.0000 0.4242
Tm: 0.9050 0.0000 0.7108
Sc: 0.0936 0.0000 0.2803
Sc: 0.1192 0.5000 0.8552
Sc: 0.1903 0.0000 0.5668
Sc: 0.2152 0.5000 0.1463
Sc: 0.5936 0.5000 0.2803
Sc: 0.6192 0.0000 0.8552
Sc: 0.6903 0.5000 0.5668